********
First-principles (PBE-GGA) data for a relaxed structure of SrPm2ErSe4, as listed in Alexandria.

Lattice parameters (Å, degrees): 7.274 4.174 7.328 90.00 108.95 90.00
Sites, in units of the cell vectors:
Sr  0.000  0.000  0.000
Pm  0.000  0.500  0.500
Pm  0.500  0.000  0.500
Er  0.500  0.500  0.000
Se  0.261  0.500  0.250
Se  0.262  0.000  0.758
Se  0.738  0.000  0.242
Se  0.739  0.500  0.750

Results
The density of states at the Fermi level comes out at 3.128 states/eV/f.u. The raw formation energy is -1.822 eV/atom.


A relaxed Tb3HoZn8 crystal, computed with GGA-PBE.

Results
- magnetic moment (Bohr magnetons per cell) = 0.00
- density (Mg/m³) = 8.375
- formation energy (meV per atom) = -335
- ΔE to the lowest computed polymorph (meV/atom) = 0

abc: 5.4758 5.4758 26.6853
angles: 90.00 90.00 120.00
Space group R3m (No. 160, hexagonal axes)
Asymmetric unit:
Tb  0.0000  0.0000  0.0000 x3
Tb  0.0000  0.0000  0.1247 x3
Tb  0.0000  0.0000  0.6245 x3
Ho  0.0000  0.0000  0.4999 x3
Zn  0.0000  0.0000  0.3123 x3
Zn  0.0000  0.0000  0.8122 x3
Zn  0.0004  0.5002  0.0625 x9
Zn  0.9997  0.4998  0.5621 x9

A relaxed CaLa2CdNi crystal, computed with GGA-PBE.

Results
- magnetic moment (Bohr magnetons per cell) = 0.00
- density (Mg/m³) = 5.223
- formation energy (meV per atom) = -126
- ΔE to the lowest computed polymorph (meV/atom) = 25

abc: 5.450 5.450 5.234
angles: 90.00 90.00 90.00
Space group P4/mmm (No. 123)
Asymmetric unit:
Ca  0.000  0.000  0.000 x1
La  0.000  0.500  0.500 x2
Cd  0.500  0.500  0.000 x1
Ni  0.500  0.500  0.500 x1

A relaxed Hf3Ge2 crystal, computed with GGA-PBE.

Results
- magnetic moment (Bohr magnetons per cell) = 0.00
- density (Mg/m³) = 11.207
- formation energy (meV per atom) = -579
- ΔE to the lowest computed polymorph (meV/atom) = 119

abc: 10.501 3.768 10.197
angles: 90.00 90.00 90.00
Space group Pnma (No. 62)
Asymmetric unit:
Hf  0.042  0.250  0.124 x4
Hf  0.123  0.750  0.569 x4
Hf  0.218  0.250  0.799 x4
Ge  0.022  0.750  0.318 x4
Ge  0.194  0.750  0.002 x4

A relaxed LaFeHg2 crystal, computed with GGA-PBE.

Results
- magnetic moment (Bohr magnetons per cell) = 2.25
- density (Mg/m³) = 10.273
- formation energy (meV per atom) = 108

abc: 4.492 4.463 4.805
angles: 90.00 90.14 90.00
Space group P2/m (No. 10)
Asymmetric unit:
La  0.000  0.000  0.000 x1
Fe  0.500  0.500  0.000 x1
Hg  0.000  0.500  0.500 x1
Hg  0.500  0.000  0.500 x1

A relaxed YGeC3 crystal, computed with GGA-PBE.

Results
- magnetic moment (Bohr magnetons per cell) = 0.00
- density (Mg/m³) = 5.168
- formation energy (meV per atom) = 1543
- ΔE to the lowest computed polymorph (meV/atom) = 0

abc: 3.989 3.989 3.989
angles: 90.00 90.00 90.00
Space group Pm-3m (No. 221)
Asymmetric unit:
Y  0.000  0.000  0.000 x1
Ge  0.500  0.500  0.500 x1
C  0.000  0.500  0.500 x3

A relaxed CoCuAg2Cl6 crystal, computed with GGA-PBE.

Results
- magnetic moment (Bohr magnetons per cell) = 0.00
- density (Mg/m³) = 4.603
- uncorrected formation energy (meV/atom) = -434.0

abc: 6.461 6.470 6.628
angles: 60.85 89.93 60.07
Space group P1 (No. 1)
Asymmetric unit:
Co  0.000  0.000  0.000 x1
Cu  0.496  0.007  0.490 x1
Ag  0.238  0.524  0.713 x1
Ag  0.730  0.539  0.191 x1
Cl  0.134  0.524  0.245 x1
Cl  0.239  0.897  0.761 x1
Cl  0.342  0.890  0.246 x1
Cl  0.659  0.103  0.761 x1
Cl  0.768  0.097  0.246 x1
Cl  0.865  0.475  0.762 x1

A relaxed BeZn2Hg crystal, computed with GGA-PBE.

Results
- magnetic moment (Bohr magnetons per cell) = 0.00
- density (Mg/m³) = 8.741
- formation energy (meV per atom) = 299
- ΔE to the lowest computed polymorph (meV/atom) = 84

abc: 5.108 7.629 3.319
angles: 90.00 90.00 90.00
Space group Cmmm (No. 65)
Asymmetric unit:
Be  0.000  0.000  0.000 x2
Zn  0.250  0.250  0.500 x4
Hg  0.000  0.500  0.000 x2

A relaxed Dy6Ir5Au crystal, computed with GGA-PBE.

Results
- magnetic moment (Bohr magnetons per cell) = 0.00
- density (Mg/m³) = 14.326
- formation energy (meV per atom) = -823

abc: 4.820 7.089 7.594
angles: 90.00 107.65 90.00
********

Set down everything further above exactly, please.

First-principles (PBE-GGA) data for a relaxed structure of SrPm2ErSe4, as listed in Alexandria.

Lattice parameters (Å, degrees): 7.274 4.174 7.328 90.00 108.95 90.00
Sites, in units of the cell vectors:
Sr  0.000  0.000  0.000
Pm  0.000  0.500  0.500
Pm  0.500  0.000  0.500
Er  0.500  0.500  0.000
Se  0.261  0.500  0.250
Se  0.262  0.000  0.758
Se  0.738  0.000  0.242
Se  0.739  0.500  0.750

Results
The density of states at the Fermi level comes out at 3.128 states/eV/f.u. The raw formation energy is -1.822 eV/atom.


A relaxed Tb3HoZn8 crystal, computed with GGA-PBE.

Results
- magnetic moment (Bohr magnetons per cell) = 0.00
- density (Mg/m³) = 8.375
- formation energy (meV per atom) = -335
- ΔE to the lowest computed polymorph (meV/atom) = 0

abc: 5.4758 5.4758 26.6853
angles: 90.00 90.00 120.00
Space group R3m (No. 160, hexagonal axes)
Asymmetric unit:
Tb  0.0000  0.0000  0.0000 x3
Tb  0.0000  0.0000  0.1247 x3
Tb  0.0000  0.0000  0.6245 x3
Ho  0.0000  0.0000  0.4999 x3
Zn  0.0000  0.0000  0.3123 x3
Zn  0.0000  0.0000  0.8122 x3
Zn  0.0004  0.5002  0.0625 x9
Zn  0.9997  0.4998  0.5621 x9

A relaxed CaLa2CdNi crystal, computed with GGA-PBE.

Results
- magnetic moment (Bohr magnetons per cell) = 0.00
- density (Mg/m³) = 5.223
- formation energy (meV per atom) = -126
- ΔE to the lowest computed polymorph (meV/atom) = 25

abc: 5.450 5.450 5.234
angles: 90.00 90.00 90.00
Space group P4/mmm (No. 123)
Asymmetric unit:
Ca  0.000  0.000  0.000 x1
La  0.000  0.500  0.500 x2
Cd  0.500  0.500  0.000 x1
Ni  0.500  0.500  0.500 x1

A relaxed Hf3Ge2 crystal, computed with GGA-PBE.

Results
- magnetic moment (Bohr magnetons per cell) = 0.00
- density (Mg/m³) = 11.207
- formation energy (meV per atom) = -579
- ΔE to the lowest computed polymorph (meV/atom) = 119

abc: 10.501 3.768 10.197
angles: 90.00 90.00 90.00
Space group Pnma (No. 62)
Asymmetric unit:
Hf  0.042  0.250  0.124 x4
Hf  0.123  0.750  0.569 x4
Hf  0.218  0.250  0.799 x4
Ge  0.022  0.750  0.318 x4
Ge  0.194  0.750  0.002 x4

A relaxed LaFeHg2 crystal, computed with GGA-PBE.

Results
- magnetic moment (Bohr magnetons per cell) = 2.25
- density (Mg/m³) = 10.273
- formation energy (meV per atom) = 108

abc: 4.492 4.463 4.805
angles: 90.00 90.14 90.00
Space group P2/m (No. 10)
Asymmetric unit:
La  0.000  0.000  0.000 x1
Fe  0.500  0.500  0.000 x1
Hg  0.000  0.500  0.500 x1
Hg  0.500  0.000  0.500 x1

A relaxed YGeC3 crystal, computed with GGA-PBE.

Results
- magnetic moment (Bohr magnetons per cell) = 0.00
- density (Mg/m³) = 5.168
- formation energy (meV per atom) = 1543
- ΔE to the lowest computed polymorph (meV/atom) = 0

abc: 3.989 3.989 3.989
angles: 90.00 90.00 90.00
Space group Pm-3m (No. 221)
Asymmetric unit:
Y  0.000  0.000  0.000 x1
Ge  0.500  0.500  0.500 x1
C  0.000  0.500  0.500 x3

A relaxed CoCuAg2Cl6 crystal, computed with GGA-PBE.

Results
- magnetic moment (Bohr magnetons per cell) = 0.00
- density (Mg/m³) = 4.603
- uncorrected formation energy (meV/atom) = -434.0

abc: 6.461 6.470 6.628
angles: 60.85 89.93 60.07
Space group P1 (No. 1)
Asymmetric unit:
Co  0.000  0.000  0.000 x1
Cu  0.496  0.007  0.490 x1
Ag  0.238  0.524  0.713 x1
Ag  0.730  0.539  0.191 x1
Cl  0.134  0.524  0.245 x1
Cl  0.239  0.897  0.761 x1
Cl  0.342  0.890  0.246 x1
Cl  0.659  0.103  0.761 x1
Cl  0.768  0.097  0.246 x1
Cl  0.865  0.475  0.762 x1

A relaxed BeZn2Hg crystal, computed with GGA-PBE.

Results
- magnetic moment (Bohr magnetons per cell) = 0.00
- density (Mg/m³) = 8.741
- formation energy (meV per atom) = 299
- ΔE to the lowest computed polymorph (meV/atom) = 84

abc: 5.108 7.629 3.319
angles: 90.00 90.00 90.00
Space group Cmmm (No. 65)
Asymmetric unit:
Be  0.000  0.000  0.000 x2
Zn  0.250  0.250  0.500 x4
Hg  0.000  0.500  0.000 x2

A relaxed Dy6Ir5Au crystal, computed with GGA-PBE.

Results
- magnetic moment (Bohr magnetons per cell) = 0.00
- density (Mg/m³) = 14.326
- formation energy (meV per atom) = -823

abc: 4.820 7.089 7.594
angles: 90.00 107.65 90.00